**File**
'''
Density functional theory data (GGA-PBE) for PdSN3O3 after structural relaxation.

Properties
formation energy	0.797	eV/atom
total magnetization	8.002	μB per cell
E (MP2020)	-171.16	eV/cell
crystal system	monoclinic

Lattice parameters (Å, degrees): 8.4490 7.2597 14.8430 90.00 119.33 90.00
Sites, in units of the cell vectors:
Pd: 0.0390 0.1817 0.4929
Pd: 0.0390 0.3183 0.9929
Pd: 0.9610 0.6817 0.0071
Pd: 0.9610 0.8183 0.5071
S: 0.3436 0.2003 0.8206
S: 0.3436 0.2997 0.3206
S: 0.6564 0.7003 0.6794
S: 0.6564 0.7997 0.1794
N: 0.0689 0.7245 0.9219
N: 0.0689 0.7755 0.4219
N: 0.0772 0.7162 0.6305
N: 0.0772 0.7838 0.1305
N: 0.2761 0.2135 0.5876
N: 0.2761 0.2865 0.0876
N: 0.7239 0.7135 0.9124
N: 0.7239 0.7865 0.4124
N: 0.9228 0.2162 0.8695
N: 0.9228 0.2838 0.3695
N: 0.9311 0.2245 0.5781
N: 0.9311 0.2755 0.0781
O: 0.2118 0.0581 0.8000
O: 0.2118 0.4419 0.3000
O: 0.2997 0.1116 0.3296
O: 0.2997 0.3884 0.8296
O: 0.4800 0.6548 0.6647
O: 0.4800 0.8452 0.1647
O: 0.5200 0.1548 0.8353
O: 0.5200 0.3452 0.3353
O: 0.7003 0.6116 0.1704
O: 0.7003 0.8884 0.6704
O: 0.7882 0.5581 0.7000
O: 0.7882 0.9419 0.2000

* * * * *

This record from the Materials Project database describes a geometry-optimized Li5FeO4 structure. The functional is PBE with a Hubbard U.

a b c (Å): 9.5627 5.2454 8.5619
angles (deg): 74.50 90.00 90.00
Fractional positions:
Li (0.9262, 0.5746, 0.6552)
Li (0.0454, 0.7499, 0.0395)
Li (0.5454, 0.7501, 0.9605)
Li (0.8030, 0.1197, 0.5369)
Li (0.4262, 0.9254, 0.3448)
Li (0.1785, 0.5019, 0.8485)
Li (0.3030, 0.3803, 0.4631)
Li (0.8133, 0.8423, 0.8581)
Li (0.1970, 0.8803, 0.4631)
Li (0.3133, 0.6577, 0.1419)
Li (0.8215, 0.4981, 0.1515)
Li (0.4546, 0.2499, 0.0395)
Li (0.9546, 0.2501, 0.9605)
Li (0.6785, 0.9981, 0.1515)
Li (0.1867, 0.1577, 0.1419)
Li (0.5738, 0.0746, 0.6552)
Li (0.6970, 0.6197, 0.5369)
Li (0.0738, 0.4254, 0.3448)
Li (0.3215, 0.0019, 0.8485)
Li (0.6867, 0.3423, 0.8581)
Fe (0.5473, 0.4428, 0.2683)
Fe (0.9527, 0.9428, 0.2683)
Fe (0.4527, 0.5572, 0.7317)
Fe (0.0473, 0.0572, 0.7317)
O (0.4951, 0.1891, 0.8237)
O (0.1370, 0.7881, 0.2588)
O (0.8630, 0.2119, 0.7412)
O (0.8627, 0.8195, 0.4656)
O (0.3627, 0.6805, 0.5344)
O (0.3630, 0.2881, 0.2588)
O (0.9951, 0.3109, 0.1763)
O (0.1373, 0.1805, 0.5344)
O (0.0049, 0.6891, 0.8237)
O (0.6482, 0.3719, 0.0892)
O (0.3518, 0.6281, 0.9108)
O (0.6373, 0.3195, 0.4656)
O (0.1482, 0.1281, 0.9108)
O (0.8518, 0.8719, 0.0892)
O (0.5049, 0.8109, 0.1763)
O (0.6370, 0.7119, 0.7412)
'''

**To do**
Echo only the last part of the lines further up, starting with the line that has "0.4800 0.6548".

**Here it is**
O: 0.4800 0.6548 0.6647
O: 0.4800 0.8452 0.1647
O: 0.5200 0.1548 0.8353
O: 0.5200 0.3452 0.3353
O: 0.7003 0.6116 0.1704
O: 0.7003 0.8884 0.6704
O: 0.7882 0.5581 0.7000
O: 0.7882 0.9419 0.2000

* * * * *

This record from the Materials Project database describes a geometry-optimized Li5FeO4 structure. The functional is PBE with a Hubbard U.

a b c (Å): 9.5627 5.2454 8.5619
angles (deg): 74.50 90.00 90.00
Fractional positions:
Li (0.9262, 0.5746, 0.6552)
Li (0.0454, 0.7499, 0.0395)
Li (0.5454, 0.7501, 0.9605)
Li (0.8030, 0.1197, 0.5369)
Li (0.4262, 0.9254, 0.3448)
Li (0.1785, 0.5019, 0.8485)
Li (0.3030, 0.3803, 0.4631)
Li (0.8133, 0.8423, 0.8581)
Li (0.1970, 0.8803, 0.4631)
Li (0.3133, 0.6577, 0.1419)
Li (0.8215, 0.4981, 0.1515)
Li (0.4546, 0.2499, 0.0395)
Li (0.9546, 0.2501, 0.9605)
Li (0.6785, 0.9981, 0.1515)
Li (0.1867, 0.1577, 0.1419)
Li (0.5738, 0.0746, 0.6552)
Li (0.6970, 0.6197, 0.5369)
Li (0.0738, 0.4254, 0.3448)
Li (0.3215, 0.0019, 0.8485)
Li (0.6867, 0.3423, 0.8581)
Fe (0.5473, 0.4428, 0.2683)
Fe (0.9527, 0.9428, 0.2683)
Fe (0.4527, 0.5572, 0.7317)
Fe (0.0473, 0.0572, 0.7317)
O (0.4951, 0.1891, 0.8237)
O (0.1370, 0.7881, 0.2588)
O (0.8630, 0.2119, 0.7412)
O (0.8627, 0.8195, 0.4656)
O (0.3627, 0.6805, 0.5344)
O (0.3630, 0.2881, 0.2588)
O (0.9951, 0.3109, 0.1763)
O (0.1373, 0.1805, 0.5344)
O (0.0049, 0.6891, 0.8237)
O (0.6482, 0.3719, 0.0892)
O (0.3518, 0.6281, 0.9108)
O (0.6373, 0.3195, 0.4656)
O (0.1482, 0.1281, 0.9108)
O (0.8518, 0.8719, 0.0892)
O (0.5049, 0.8109, 0.1763)
O (0.6370, 0.7119, 0.7412)